Activity =
What is needed: count the lines underneath that contain the word "is" and give the number alone.

Contents =
┌──
1.
Here is C44H31Cl5O3P2PtS as an isolated structure from OMol25. Energies are from ωB97M-V/def2-TZVPD.

Summary:
HOMO (alpha / beta) = -12.8 / -13.9 eV
gap between HOMO and LUMO (alpha / beta) = 7.57 / 6.55 eV
energy = -5421.6194 Eh
LUMO level (alpha / beta) = -5.2251 / -7.4006 eV

Structure (ORCA input):
```
! RIJCOSX wB97M-V def2-TZVPD def2/J DEFGRID3
* xyz 2 5
Pt 0.770 0.670 0.787
O 3.914 -1.011 1.380
S 2.556 -1.182 0.840
C 2.657 -1.835 -0.802
C 3.499 -2.918 -1.028
C 3.582 -3.441 -2.308
C 2.840 -2.881 -3.341
C 2.039 -1.773 -3.112
C 1.958 -1.222 -1.835
P 1.098 0.336 -1.559
C 2.334 1.645 -1.668
C 1.878 2.967 -1.659
C 2.785 4.011 -1.668
C 4.150 3.744 -1.673
C 4.606 2.434 -1.678
C 3.702 1.381 -1.677
C -0.050 0.545 -2.914
C -1.162 -0.295 -2.962
C -1.974 -0.307 -4.082
C -1.694 0.537 -5.149
C -0.595 1.383 -5.099
C 0.238 1.383 -3.991
C 1.750 -2.476 1.746
C 2.569 -3.487 2.243
C 1.998 -4.509 2.981
C 0.630 -4.508 3.230
C -0.164 -3.473 2.764
C 0.387 -2.433 2.017
P -0.656 -1.039 1.509
C -1.622 -0.601 2.960
C -1.094 0.322 3.861
C -1.778 0.635 5.024
C -2.998 0.030 5.290
C -3.532 -0.891 4.398
C -2.849 -1.209 3.236
C -1.805 -1.730 0.303
C -1.474 -2.903 -0.378
C -2.349 -3.430 -1.318
C -3.552 -2.791 -1.578
C -3.879 -1.615 -0.912
C -3.007 -1.080 0.021
H 4.083 -3.340 -0.224
H 4.227 -4.288 -2.501
H 2.901 -3.297 -4.337
H 1.495 -1.323 -3.932
H 0.814 3.177 -1.656
H 2.431 5.031 -1.670
H 4.857 4.561 -1.677
H 5.667 2.228 -1.692
H 4.073 0.365 -1.697
H -1.389 -0.942 -2.129
H -2.829 -0.967 -4.118
H -2.330 0.533 -6.023
H -0.375 2.036 -5.932
H 1.107 2.029 -3.978
H 3.637 -3.451 2.083
H 2.621 -5.300 3.374
H 0.188 -5.302 3.813
H -1.220 -3.467 3.003
H -0.140 0.797 3.658
H -1.363 1.351 5.720
H -3.535 0.276 6.196
H -4.481 -1.363 4.610
H -3.276 -1.926 2.548
H -0.548 -3.422 -0.167
H -2.096 -4.346 -1.834
H -4.242 -3.212 -2.297
H -4.817 -1.117 -1.118
H -3.269 -0.167 0.538
Cl -4.566 6.584 0.636
C -3.654 5.196 0.368
C -2.575 4.889 1.249
Cl -2.232 5.941 2.546
C -1.836 3.757 1.044
Cl -0.543 3.347 2.083
C -2.115 2.850 -0.054
O -1.469 1.813 -0.257
C -3.225 3.212 -0.933
Cl -3.539 2.154 -2.221
C -3.966 4.346 -0.724
Cl -5.260 4.750 -1.756
C 2.879 1.199 3.245
C 2.401 1.784 1.926
O 2.786 2.781 1.429
H 2.692 1.958 4.006
H 3.952 1.030 3.154
H 2.373 0.272 3.496
*
```

2.
Here is a 2-piece molecular cluster, C5H3FNO2S overall from OMol25. Energies are from ωB97M-V/def2-TZVPD.

Summary:
HOMO (alpha / beta) = -4.1 / -4.1 eV
gap between HOMO and LUMO (alpha / beta) = 6.90 / 6.90 eV
energy = -895.5414 Eh
LUMO level (alpha / beta) = 2.8164 / 2.8163 eV

Structure (ORCA input):
```
! RIJCOSX wB97M-V def2-TZVPD def2/J DEFGRID3
* xyz -1 1
C -0.817 1.127 -0.040
C -0.748 0.389 -2.298
C 0.182 0.163 -0.261
C 0.072 -1.171 1.813
C 1.060 -0.619 0.514
N 0.154 -0.214 -1.601
O 0.313 -2.235 2.303
O -0.781 -0.320 2.077
F 1.996 -1.312 -0.106
S -1.744 1.604 -1.429
H -0.894 1.809 0.775
H -1.027 0.241 -3.307
H 2.234 0.537 1.559
*
```

3.
Here is a 2-piece molecular cluster, C12H17N overall from OMol25. Energies are from ωB97M-V/def2-TZVPD.

Summary:
HOMO = -8.0 eV
gap between HOMO and LUMO = 8.93 eV
energy = -522.1234 Eh
LUMO level = 0.9011 eV
SMILES = Cc1c[nH]c2ccccc12.CCC

Structure (ORCA input):
```
! RIJCOSX wB97M-V def2-TZVPD def2/J DEFGRID3
* xyz 0 1
C 1.787 -0.960 1.734
C 0.755 -2.051 1.785
C 3.044 -1.303 2.665
H 1.384 0.003 2.018
H 2.201 -1.066 0.714
H 1.352 -3.018 1.874
H 0.026 -1.959 2.600
H 3.562 -2.209 2.365
H 2.661 -1.323 3.683
H -0.101 -2.213 1.009
H 3.826 -0.560 2.567
C 1.728 0.167 -2.253
C -0.288 0.465 -0.650
C 0.322 -0.157 -1.832
C -1.742 0.285 -0.797
C -0.698 -0.734 -2.590
C 0.240 1.379 0.259
C -2.465 0.822 0.209
C -0.626 1.975 1.168
C -1.923 1.624 1.212
N -1.969 -0.371 -2.009
H 1.339 1.863 0.034
H 2.080 0.161 -3.246
H 2.326 -0.459 -1.649
H -0.640 -1.242 -3.492
H -2.672 -1.119 -1.766
H -3.551 0.671 0.157
H -0.329 2.862 1.687
H -2.513 1.877 2.010
H 2.024 1.259 -1.963
*
```

4.
Here is C17H12CsN12 as an isolated structure from OMol25. Energies are from ωB97M-V/def2-TZVPD.

Summary:
└──

Solution =
4